Update: Unforuntately due to personal reasons the developer I was working on this with (who doesn’t work for my main company) could no longer continue. So this project was abandoned, I have decided instead to use my company and my own developers to develop a spiritual sucessor to beamusup which will be webbased and a hybrid software that should help with SEO too.
Hey, so we’re scheduled to release the web based version of our crawler in January 2023 as a BETA. It’s a little far in the future I know but bare in mind we are just two people doing this as a side project. At the start essentitally the look and feel should be somewhat similar to the desktop version, as that was the quickest way to do things. In terms of the way it will work you will have to sign up and dependant on how many users there are you will have to wait your turn for your crawl and then we’ll email you back when it is done.
If you want to be informed when it’s released leave a comment here or on the previous post (no need to leave it twice although the support is appreciated).
31 . Jul . 2022Nice, i will try when you are ready!
James gregory
20 . Aug . 2022Can’t wait mate, is Java desktop version fixed now?
William Gomes
01 . Oct . 2022We no longer support that version.
06 . Sep . 2022Would love to try it! The Mac version of the desktop download says it can’t verify the developer and is unable to tell whether it is malware or safe, so it won’t open and I’m unable to use it.
21 . Sep . 2022OK 😉
30 . Sep . 2022Please let me know when the tool is ready, really appreciate I could use it!
04 . Oct . 2022Great news. Hope everything’s running smoothly
05 . Dec . 2022Looking forward to the release
21 . Dec . 2022Waiting for beta-testing…
Teknik Telekomunikasi
26 . Dec . 2022only a few days left until january
22 . Jan . 2023Sure. Looking forward to it.
What comes next are calculated crystals, not part of the article:
=====
Starting from a DFT-relaxed cell (PBE, Alexandria), the XRD peak list of PrSi4Pd12 was simulated for a wavelength of 1.5418 Å.
Kinematic intensities with the Lorentz-polarization factor, no thermal factor.

Atomic structure:
Lattice parameters (Å, degrees): 8.4066 8.4066 8.4066 90.00 90.00 90.00
Space group Im-3 (No. 204)
Asymmetric unit:
Pr1 0.0000 0.0000 0.0000 [2 per cell]
Si1 0.2500 0.2500 0.2500 [8 per cell]
Pd1 0.0000 0.3402 0.1671 [24 per cell]

Principal peaks in the range 2θ from 15° to 90°, in order of rising 2θ:
d (Å), Position (°2θ), I_rel, (hkl)
2.658, 33.72, 100, 3 0 1
2.247, 40.13, 47, 3 1 2
1.716, 53.39, 16, 4 2 2
1.649, 55.76, 23, 4 3 1
1.401, 66.76, 14, 6 0 0
1.239, 76.92, 17, 6 1 3

Starting from a DFT-relaxed cell (PBE, Alexandria), the XRD peak list of Pm5Pr2Ga4 was simulated for a wavelength of 1.5418 Å.
Kinematic intensities with the Lorentz-polarization factor, no thermal factor.

Atomic structure:
Lattice parameters (Å, degrees): 26.1502 3.5399 7.2192 90.00 90.64 90.00
Space group C2/m (No. 12)
Asymmetric unit:
Pm1 0.0000 0.0000 0.0000 [2 per cell]
Pm2 0.1336 0.5000 0.1876 [4 per cell]
Pm3 0.2339 0.5000 0.7719 [4 per cell]
Pr1 0.0946 0.5000 0.6965 [4 per cell]
Ga1 0.0248 0.5000 0.3477 [4 per cell]
Ga2 0.1770 0.0000 0.4922 [4 per cell]

Principal peaks in the range 2θ from 15° to 90°, in order of rising 2θ:
d (Å), Position (°2θ), I_rel, (hkl)
3.508, 25.39, 22, 1 1 0
3.272, 27.26, 25, 8 0 0
2.986, 29.92, 100, 8 0 -1
2.765, 32.38, 41, 6 0 2
2.515, 35.71, 46, 1 1 2
2.434, 36.93, 24, 8 0 -2

Starting from a DFT-relaxed cell (PBE, Alexandria), the XRD peak list of CaZnSbH was simulated for a wavelength of 1.5418 Å.
Kinematic intensities with the Lorentz-polarization factor, no thermal factor.

Atomic structure:
Lattice parameters (Å, degrees): 4.3864 4.3864 30.6569 90.00 90.00 120.00
Space group R-3m (No. 166, hexagonal axes)
Asymmetric unit:
Ca1 0.0000 0.0000 0.0000 [3 per cell]
Ca2 0.0000 0.0000 0.5000 [3 per cell]
Zn1 0.0000 0.0000 0.2402 [6 per cell]
Sb1 0.0000 0.0000 0.3976 [6 per cell]
H1 0.0000 0.0000 0.1841 [6 per cell]

Principal peaks in the range 2θ from 15° to 90°, in order of rising 2θ:
d (Å), Position (°2θ), I_rel, (hkl)
5.109, 17.36, 62, 0 0 6
3.770, 23.60, 60, 1 0 1
3.229, 27.62, 100, 0 1 5
2.698, 33.21, 71, 0 1 8
2.193, 41.16, 91, 1 1 0
2.015, 44.98, 34, 1 1 6

Starting from a DFT-relaxed cell (PBE, Alexandria), the XRD peak list of ZrSc2Zn8 was simulated for a wavelength of 1.5418 Å.
Kinematic intensities with the Lorentz-polarization factor, no thermal factor.

Atomic structure:
Lattice parameters (Å, degrees): 7.3137 14.0214 4.6858 90.00 129.74 90.00
Space group C2/m (No. 12)
Asymmetric unit:
Zr1 0.0000 0.0000 0.0000 [2 per cell]
Sc1 0.0000 0.3124 0.5000 [4 per cell]
Zn1 0.0000 0.2017 0.0000 [4 per cell]
Zn2 0.0006 0.5000 0.2541 [4 per cell]
Zn3 0.2275 0.1251 0.7283 [8 per cell]

Principal peaks in the range 2θ from 15° to 90°, in order of rising 2θ:
d (Å), Position (°2θ), I_rel, (hkl)
=====
01 . Feb . 2023Hoping it’s still possible to include me on the beta tests!
11 . Feb . 2023I’m interested! Thanks
01 . Mar . 2023I would like to try it, and help out.
Rich B
03 . Mar . 2023Hi, I would love to use the new crawler when it’s ready
30 . Mar . 2023Hm, ok… January came and went. So I assume it’s dead in the water again?
- - -
The following is a computed PXRD pattern of Na2DyGaTe4. It was derived from a DFT-relaxed cell (PBE, Alexandria), using CuKα.

Cell and atoms:
abc: 8.8509 8.8509 8.8509
angles: 122.74 118.67 88.83
Fractional coordinates of all 16 atoms:
Na 0.0000 0.0000 0.0000
Na 0.5000 0.0000 0.0000
Na 0.5000 0.0000 0.5000
Na 0.5000 0.5000 0.5000
Dy 0.0000 0.5000 0.5000
Dy 0.5000 0.5000 0.0000
Ga 0.0000 0.0000 0.5000
Ga 0.0000 0.5000 0.0000
Te 0.2120 0.7458 0.4663
Te 0.2205 0.2542 0.9663
Te 0.2456 0.2509 0.5053
Te 0.2456 0.7403 0.9947
Te 0.7544 0.2597 0.0053
Te 0.7544 0.7491 0.4947
Te 0.7795 0.7458 0.0337
Te 0.7880 0.2542 0.5337

Main lines, by angle (2θ = 10–80°):
2θ = 12.57°, I = 27
2θ = 28.23°, I = 56
2θ = 28.88°, I = 100
2θ = 40.83°, I = 77
2θ = 42.64°, I = 22
2θ = 49.63°, I = 21
2θ = 51.92°, I = 24
2θ = 66.43°, I = 18

=====

BaTi6O13: theoretical X-ray diffraction stick pattern (λ = 1.5418 Å (Cu Kα)), based on DFT lattice parameters and positions (PBE).
Neutral-atom scattering factors, no anomalous dispersion.

Peak list (12 most intense, 10 to 90 degrees two-theta, low angle first)
d [Å], 2theta, I (rel.)
3.429, 25.98, 24
3.362, 26.51, 21
3.272, 27.26, 100
3.236, 27.57, 20
3.122, 28.59, 25
3.093, 28.86, 60
2.902, 30.81, 44
2.789, 32.10, 28
2.243, 40.20, 39
2.187, 41.28, 20
2.142, 42.19, 19
1.748, 52.34, 28

Structure:
```
BaTi6O13
1.0
7.569 0.000 0.000
3.722 6.653 0.000
2.669 1.964 9.447
Ba Ti O
2 12 26
Direct
0.176 0.033 0.132
0.824 0.967 0.868
0.093 0.154 0.503
0.183 0.371 0.751
0.252 0.509 0.280
0.293 0.537 0.982
0.368 0.724 0.504
0.418 0.914 0.770
0.582 0.086 0.230
0.632 0.276 0.496
0.707 0.463 0.018
0.748 0.491 0.720
0.817 0.629 0.249
0.907 0.846 0.497
0.049 0.413 0.375
0.063 0.673 0.142
0.101 0.874 0.600
0.133 0.539 0.872
0.191 0.711 0.376
0.223 0.150 0.640
0.238 0.828 0.892
0.331 0.988 0.389
0.347 0.290 0.139
0.372 0.130 0.852
0.381 0.445 0.608
0.444 0.582 0.117
0.485 0.277 0.365
0.515 0.723 0.635
0.556 0.418 0.883
0.619 0.555 0.392
0.628 0.870 0.148
0.653 0.710 0.861
0.669 0.012 0.611
0.762 0.172 0.108
0.777 0.850 0.360
0.809 0.289 0.624
0.867 0.461 0.128
0.899 0.126 0.400
0.937 0.327 0.858
0.951 0.587 0.625
```

=====

Pm2Nd2Se3S2: theoretical X-ray diffraction stick pattern (λ = 1.5418 Å (Cu Kα)), based on DFT lattice parameters and positions (PBE).
Neutral-atom scattering factors, no anomalous dispersion.

Peak list (12 most intense, 10 to 90 degrees two-theta, low angle first)
d [Å], 2theta, I (rel.)
3.610, 24.66, 50
3.540, 25.15, 36
2.872, 31.14, 100
2.699, 33.20, 13
2.581, 34.76, 31
2.248, 40.12, 56
2.031, 44.61, 37
1.920, 47.36, 25
1.770, 51.63, 27
1.436, 64.93, 12
1.285, 73.76, 16
1.210, 79.14, 15

Structure:
```
Pm2Nd2Se3S2
1.0
-2.872 2.872 7.221
2.872 -2.872 7.221
2.872 2.872 -7.221
Pm Nd Se S
2 2 3 2
Direct
0.000 0.500 0.500
0.500 0.000 0.500
0.215 0.215 0.000
0.785 0.785 0.000
0.000 0.000 0.000
0.250 0.750 0.500
0.750 0.250 0.500
0.403 0.403 0.000
0.597 0.597 0.000
```

=====

Entry 1:
- - -
Even if so would you please let us know so we may adjust our wishingfor…
Thx 🙂
05 . Jun . 2023YESS, waiting for any update
27 . Oct . 2023Unfortunately this was being developed by the original developer of the tool who was enable to continue. However my team from my company have now taken over and we will be releasing not a crawler but some hybrid software instead. I’ll let you know when that is released.
25 . May . 2023Thanks for Update !